Player Event: Come Have Some FuN!!
Zodiac - Cancer.
Zodiac is Leo! (any1 said this one before??^^)

Guessing Virgo for Zodiac. Getting to work on screenshots.
Zodiac: Aquarius
The Last Anthem
Zodia= Aeris? or however it's spelled lol. and for screens, can they be cropped?
Garreth MacLeod
Zodiac - Saggitarius.
I'll have to work on getting some screenshots.
I'll have to work on getting some screenshots.
Zodiac - Capricorn.
Sir Skullcrasher
I would say your zodiac sign is Leo. I'll get screen shots soon.
Allen Taubler was a winner in the Design A Weapon Contest with his straw effigy design.
Allen Taubler was a winner in the Design A Weapon Contest with his straw effigy design.
Yep, according the GW website, the straw effigy was designed by: Allen Taubler, USA.
Hmm, for Zodiac lets go with my own sign, Taurus.
Heres my Necro. Isn't she sexy? I think so 
If they cannot be scaled down just say so and I will post the full pic.
Red and Rachel
Real life husband and wife team who after putting their four kids to bed get online to manage their awesome guild and save the world from charr devistation.
Cutest Couple
Red and Rachel
Real life husband and wife team who after putting their four kids to bed get online to manage their awesome guild and save the world from charr devistation.
Thats a super nice and warm picture you have there Eviance.
Taurus is my guess for the zodiac sign
Taurus is my guess for the zodiac sign

I guess Taurus for your Zodiac sign...
My entries are as follows:
My mesmer, Carol Soulsinger
I wonder if i could charm him...
Heroic Deed
My future Legendary Defender of Ascalon warrior in her early days, dueling and defeating Skullreaver to save Ascalon from being overwhelmed by Restless Corpses and Raging Cadavers. She is currently trying to save Ascalon from the Charr threat.
My entries are as follows:
My mesmer, Carol Soulsinger
I wonder if i could charm him...
Heroic Deed
My future Legendary Defender of Ascalon warrior in her early days, dueling and defeating Skullreaver to save Ascalon from being overwhelmed by Restless Corpses and Raging Cadavers. She is currently trying to save Ascalon from the Charr threat.
Parson Brown
Best Looking Necro: Mistress Ov Pain

Guess for Zodiac sign: Aries
And thank Allen Taubler for his Straw Effigy design
Thanks for doing this. If you're still taking suggestions, how about a best-looking Ritualist?

Guess for Zodiac sign: Aries
And thank Allen Taubler for his Straw Effigy design

Thanks for doing this. If you're still taking suggestions, how about a best-looking Ritualist?
A screenie of the most heroic deed, 3 screenies
OK. I happened to have these pretty "heroic poses" images.
Why should I be "the winnah"?
Because my paladin (W/Mo) is alone in the Underworld, killing big bad monsters.
And because it's my own build, when I stubbornly decided a W/Mo must be able to solo aatxes.
OK. I happened to have these pretty "heroic poses" images.
Why should I be "the winnah"?
Because my paladin (W/Mo) is alone in the Underworld, killing big bad monsters.
And because it's my own build, when I stubbornly decided a W/Mo must be able to solo aatxes.
To the Think You're Funny?-category. In case my heroic deed category cap won't be succesful..
A sport event in UW. Dancing with Aatxes. Could also compete in the Beauty and the Beast category, if we had one. Can you do polka?
A sport event in UW. Dancing with Aatxes. Could also compete in the Beauty and the Beast category, if we had one. Can you do polka?
Finally, to the Most Attractive Mes-category, with my mesmer Tuhma Satu.
Zodiac= Taurus?
The best happening =)
The best happening =)
most attrative necro...

...mine... at least in my oppinion
oh... ive just spotted the bit that says : "some elaborations on the submited sample and state why should you be the winnah..a limit of 150 words total"
so here's my elaboration: I dont mind if i dont win, I just thought Sav's pose was cool and that it would be a laugh to enter... good luck to everyone

...mine... at least in my oppinion

oh... ive just spotted the bit that says : "some elaborations on the submited sample and state why should you be the winnah..a limit of 150 words total"
so here's my elaboration: I dont mind if i dont win, I just thought Sav's pose was cool and that it would be a laugh to enter... good luck to everyone
Ok, for best looking ele:

Took me 2 hours to fight there, but its worth it IMO.
For the bestlooking warrior i took a simular shot

This went a lot faster cause i could run there.
Love/Hate hexes

== What comes next are records of crystals, not part of the page ==
=====
# 1
! NiGe2Pd PBE relaxed; values from VASP
&SYSTEM
  ibrav = 0, nat = 8, ntyp = 3
/
ATOMIC_SPECIES
Ge 72.64 Ge.upf
Ni 58.69 Ni.upf
Pd 106.42 Pd.upf
ATOMIC_POSITIONS crystal
Ge 0.500 0.446 0.076
Ge 0.500 0.927 0.421
Ge 0.000 0.554 0.576
Ge 0.000 0.073 0.921
Ni 0.000 0.749 0.192
Ni 0.500 0.251 0.692
Pd 0.000 0.240 0.311
Pd 0.500 0.760 0.811
CELL_PARAMETERS angstrom
-2.732 0.187 2.060
3.297 -1.371 4.496
1.154 6.005 0.985
! SG = Pmn2_1, No. 31
! Energy above the most stable polymorph in this dataset = 29 meV/atom
! Total energy = -5.345 eV per atom

***

# 2
! Sr3Sn2W2 PBE relaxed; values from VASP
&SYSTEM
  ibrav = 0, nat = 7, ntyp = 3
/
ATOMIC_SPECIES
Sn 118.71 Sn.upf
Sr 87.62 Sr.upf
W 183.84 W.upf
ATOMIC_POSITIONS crystal
Sn 0.133 0.133 0.000
Sn 0.867 0.867 0.000
Sr 0.319 0.319 0.000
Sr 0.681 0.681 0.000
Sr 0.000 0.500 0.500
W 0.560 0.060 0.500
W 0.440 0.940 0.500
CELL_PARAMETERS angstrom
9.583 2.475 1.888
5.682 8.084 1.972
-8.173 -5.720 1.414
! SG = Immm, No. 71
! Total energy = -5.311 eV per atom

***

# 3
! Cd2Sn2Sb3As PBE relaxed; values from VASP
&SYSTEM
  ibrav = 0, nat = 8, ntyp = 4
/
ATOMIC_SPECIES
As 74.92 As.upf
Cd 112.41 Cd.upf
Sb 121.76 Sb.upf
Sn 118.71 Sn.upf
ATOMIC_POSITIONS crystal
As 0.126 0.874 0.000
Cd 0.008 0.234 0.360
Cd 0.766 0.992 0.640
Sb 0.874 0.625 0.253
Sb 0.624 0.376 0.500
Sb 0.375 0.126 0.747
Sn 0.243 0.515 0.117
Sn 0.485 0.757 0.883
CELL_PARAMETERS angstrom
-4.842 -4.365 4.428
1.408 -6.226 4.621
1.618 5.712 2.682
! SG = C2, No. 5
! Total energy = -3.416 eV per atom

***

# 4
! Lu3Al PBE relaxed; values from VASP
&SYSTEM
  ibrav = 0, nat = 4, ntyp = 2
/
ATOMIC_SPECIES
Al 26.98 Al.upf
Lu 174.97 Lu.upf
ATOMIC_POSITIONS crystal
Al 0.000 0.000 0.000
Lu 0.500 0.500 0.000
Lu 0.750 0.250 0.500
Lu 0.250 0.750 0.500
CELL_PARAMETERS angstrom
4.168 3.940 1.096
-2.039 5.468 0.227
-1.588 -5.031 2.505
! SG = I4/mmm, No. 139
! Total energy = -4.473 eV per atom

***

# 5
! RbCoReAu PBE relaxed; values from VASP
&SYSTEM
  ibrav = 0, nat = 4, ntyp = 4
/
ATOMIC_SPECIES
Au 196.97 Au.upf
Co 58.93 Co.upf
Rb 85.47 Rb.upf
Re 186.21 Re.upf
ATOMIC_POSITIONS crystal
Au 0.750 0.750 0.750
Co 0.250 0.250 0.250
Rb 0.500 0.500 0.500
Re 0.000 0.000 0.000
CELL_PARAMETERS angstrom
4.658 -0.594 1.014
1.472 -3.951 2.303
2.561 -3.328 -2.334
! SG = F-43m, No. 216
! Energy above the most stable polymorph in this dataset = 0 meV/atom
! Total energy = -4.316 eV per atom

***

# 6
! DyGa2FePd4 PBE relaxed; values from VASP
&SYSTEM
  ibrav = 0, nat = 8, ntyp = 4
/
ATOMIC_SPECIES
Dy 162.50 Dy.upf
Fe 55.84 Fe.upf
Ga 69.72 Ga.upf
Pd 106.42 Pd.upf
ATOMIC_POSITIONS crystal
Dy 0.000 0.000 0.000
Fe 0.500 0.500 0.500
Ga 0.500 0.500 0.000
Ga 0.000 0.000 0.500
Pd 0.500 0.000 0.278
Pd 0.000 0.500 0.278
Pd 0.500 0.000 0.722
Pd 0.000 0.500 0.722
CELL_PARAMETERS angstrom
-2.442 3.451 1.132
-3.376 -1.654 -2.241
-2.038 -3.232 5.455
! SG = P4/mmm, No. 123
! Total energy = -5.515 eV per atom

***

# 7
! HfScCo2 PBE relaxed; values from VASP
&SYSTEM
  ibrav = 0, nat = 4, ntyp = 3
=====

Well, i love hexes because they give me +10 health regen, +10 energy regen, big time healing....what else would you wish for?
Note: i didnt use any enchantments nor life attunement, wich wouldve boosted healing way beyond 3000, but that didnt fit the hex theme. I think im the only person loving hexes lol.
Heroic Deed:

Yes, i managed to scare off the almighty kuunavang using /taunt and my scary warrior. If she had pants, she would've wet them.
Funniest Picture:

I always knew zhed was more than an ordinary horse...zhed goes airborne!
Straw Effigy made by allen Taubler
Ill upload my ranger later, its not at the same location.
Zodiac sign: Taurus
Shield: Crude shield, gold, 16 Armor, req 9 strenght, -2 whilst in stance, -3 whilst hexed. zhed didnt win!
Took me 2 hours to fight there, but its worth it IMO.
For the bestlooking warrior i took a simular shot

This went a lot faster cause i could run there.
Love/Hate hexes
Well, i love hexes because they give me +10 health regen, +10 energy regen, big time healing....what else would you wish for?
Note: i didnt use any enchantments nor life attunement, wich wouldve boosted healing way beyond 3000, but that didnt fit the hex theme. I think im the only person loving hexes lol.
Heroic Deed:
Yes, i managed to scare off the almighty kuunavang using /taunt and my scary warrior. If she had pants, she would've wet them.
Funniest Picture:
I always knew zhed was more than an ordinary horse...zhed goes airborne!
Straw Effigy made by allen Taubler
Ill upload my ranger later, its not at the same location.
Zodiac sign: Taurus

## Here the piece breaks off for data records
- - -
# 1
Here is a geometry-optimized BaTbBi2 structure from Alexandria. Energies are from PBE.

Lattice parameters (Å, degrees): 4.606 4.606 8.861 74.93 74.93 60.00
Fractional positions:
Ba1 0.497 0.497 0.508
Tb1 0.669 0.669 0.993
Bi1 0.071 0.071 0.786
Bi2 0.262 0.262 0.213

Properties
- Total moment: 0.00 Bohr magnetons per cell
- Offset from the most stable computed form: 32.1 meV per atom
- DFT formation energy: -0.75 eV/atom

=====

# 2
Here is a geometry-optimized BaTbBi2 structure from Alexandria. Energies are from PBE.

Lattice parameters (Å, degrees): 4.715 4.715 8.477 73.83 73.83 60.14
Fractional positions:
Ba1 0.500 0.500 0.500
Tb1 0.000 0.000 0.000
Bi1 0.737 0.737 0.789
Bi2 0.263 0.263 0.211

Properties
- Total moment: 0.00 Bohr magnetons per cell
- Offset from the most stable computed form: 0.0 meV per atom
- DFT formation energy: -0.78 eV/atom

----------

Material: LiNi14W
Method: DFT, PBE
State: optimized geometry

Results
formation enthalpy at 0 K	-0.0200	eV/atom

a = 5.0254 Å, b = 5.0254 Å, c = 7.0931 Å
α = 90.00°, β = 90.00°, γ = 90.01°
With the nearest neighbours (Å) after each atom.
Sites, in units of the cell vectors:
Li (0.3750, 0.3750, 0.5000)  12 Ni 2.51-2.53
Ni (0.8750, 0.8750, 0.0000)  12 Ni 2.49-2.51
Ni (0.3750, 0.3750, 0.0000)  12 Ni 2.49-2.51
Ni (0.8750, 0.3750, 0.5000)  2 Li 2.51, 2 W 2.51, 8 Ni 2.53
Ni (0.8750, 0.3750, 0.0000)  12 Ni 2.49-2.51
Ni (0.3750, 0.8750, 0.5000)  2 Li 2.51, 2 W 2.51, 8 Ni 2.53
Ni (0.3750, 0.8750, 0.0000)  12 Ni 2.49-2.51
Ni (0.6246, 0.1254, 0.2461)  10 Ni 2.49-2.53, 1 Li 2.53, 1 W 2.53
Ni (0.6246, 0.1254, 0.7539)  10 Ni 2.49-2.53, 1 Li 2.53, 1 W 2.53
Ni (0.1254, 0.6246, 0.2461)  10 Ni 2.49-2.53, 1 Li 2.53, 1 W 2.53
Ni (0.1254, 0.6246, 0.7539)  10 Ni 2.49-2.53, 1 Li 2.53, 1 W 2.53
Ni (0.6245, 0.6245, 0.2461)  10 Ni 2.49-2.53, 1 Li 2.53, 1 W 2.53
Ni (0.6245, 0.6245, 0.7539)  10 Ni 2.49-2.53, 1 Li 2.53, 1 W 2.53
Ni (0.1255, 0.1255, 0.2461)  10 Ni 2.49-2.53, 1 Li 2.53, 1 W 2.53
Ni (0.1255, 0.1255, 0.7539)  10 Ni 2.49-2.53, 1 Li 2.53, 1 W 2.53
W (0.8750, 0.8750, 0.5000)  12 Ni 2.51-2.53
- - -

Shield: Crude shield, gold, 16 Armor, req 9 strenght, -2 whilst in stance, -3 whilst hexed. zhed didnt win!
Zodiac sign must be Aries, since that's mine 
The focus was designed by Allen Taubler.
AS for the shield:
Runic Shield
Armor 16
+45 while in a stance
-2 while in a stance
And my hawt necro:

The focus was designed by Allen Taubler.
AS for the shield:
Runic Shield
Armor 16
+45 while in a stance
-2 while in a stance
And my hawt necro:

My Entries
The other day Koss told me he had something to show me and he found out he had a new talent. I walked with him through the
Jade Sea. I was shocked when I found out Koss could fish. We are having FISH STICKS TONIGHT!!!
My Monk:
My Mesmer:
My Ele:
My monk is scared of Hexes; he hates them! Look he can barely say the word. He can only say it in faint whisper. Oh, don't tell him Grenth
is behind him; Grenth his the other thing he is afraid of.
The other day Koss told me he had something to show me and he found out he had a new talent. I walked with him through the
Jade Sea. I was shocked when I found out Koss could fish. We are having FISH STICKS TONIGHT!!!
My Monk:
My Mesmer:
My Ele:
My monk is scared of Hexes; he hates them! Look he can barely say the word. He can only say it in faint whisper. Oh, don't tell him Grenth
is behind him; Grenth his the other thing he is afraid of.
Heres my entry for Most Attractive Mes
Straw Effigy was drawn by Allen Taubler, USA
Zodiac = Leo
Straw Effigy was drawn by Allen Taubler, USA
Zodiac = Leo
Divinus Stella
Do we have to give you the carvings ingame, or just show them?
The Straw Effigy was drawn by Allen Taubler, USA
the crude shield is:
Not inscrable, gold
req 10 max armor 16
And now for the pictures
The Straw Effigy was drawn by Allen Taubler, USA
tyria shield
the crude shield is:
req 10 max armor 16
And now for the pictures:
Most attractive necro:
My necro need to win cause to control a minion as big as that wurm, she must have good weapon or get eaten
Gay couple contest:
Me and my guildie boy"friend" we just stood there at the beach, holding each other saying cuddly things, and now we wanna get married (can same sex people get married in gw, is it legal?
) and then of course we would like a wedding gift 
The love/hate hex:
the text she is saying "i just love my hexes, how could i otherwise kill defense-less npc's all day?" And her name is actually Hex lover machine, and was my mesmer for a long time ago, but now she has been getting old and not so fancy anymore, and could use a shiny new weapon to glow again!
thats mine so far, will probaly do some more ^^
the crude shield is:
Not inscrable, gold
req 10 max armor 16
And now for the pictures
The Straw Effigy was drawn by Allen Taubler, USA
tyria shield
the crude shield is:
req 10 max armor 16
And now for the pictures:
Most attractive necro:
My necro need to win cause to control a minion as big as that wurm, she must have good weapon or get eaten

Gay couple contest:
Me and my guildie boy"friend" we just stood there at the beach, holding each other saying cuddly things, and now we wanna get married (can same sex people get married in gw, is it legal?

The love/hate hex:
the text she is saying "i just love my hexes, how could i otherwise kill defense-less npc's all day?" And her name is actually Hex lover machine, and was my mesmer for a long time ago, but now she has been getting old and not so fancy anymore, and could use a shiny new weapon to glow again!
thats mine so far, will probaly do some more ^^
Great contest!!! Thanks!!
Zodiac: Gemini
Straw Effigy was drawn by Allen Taubler, USA
Shield: Emboldened Carapace Shield, Armor: 16, 9 Strength, Health +60 (while hexed), Received damage -3 (while hexed)
Zodiac: Gemini
Straw Effigy was drawn by Allen Taubler, USA
Shield: Emboldened Carapace Shield, Armor: 16, 9 Strength, Health +60 (while hexed), Received damage -3 (while hexed)
Sciros Darkblade
The shield is:
Runic Shield
Armor 6
Energy +5
Runic Shield
Armor 6
Energy +5

Zodiac: Taurus
Shield: Crude Shield(gold)
armor 16 req 9 tactics
-2 while enchanted
Shield: Crude Shield(gold)
armor 16 req 9 tactics
-2 while enchanted
Submission for "Funniest":
Title of Image: The Story of a Monk
We meet our beloved monk where we last left him, in "The Dragon's Lair," avoiding being invited by countless parties in need of a monk. With unreal precision he submerges himself into a rock, where he will go into hibernation. Without much to keep him warm, (rocks aren't warm on the inside.) and a lack of food, he remains in the rock, hoping for a minipet to come prodding by for him to engulf.
Surely other monks can sympathize. Immediately after entering a mission outpost we are bombarded by a surreal assortment of party invites. I had to push some fans out of my way to take this very screenshot.
Title of Image: The Story of a Monk
We meet our beloved monk where we last left him, in "The Dragon's Lair," avoiding being invited by countless parties in need of a monk. With unreal precision he submerges himself into a rock, where he will go into hibernation. Without much to keep him warm, (rocks aren't warm on the inside.) and a lack of food, he remains in the rock, hoping for a minipet to come prodding by for him to engulf.
Surely other monks can sympathize. Immediately after entering a mission outpost we are bombarded by a surreal assortment of party invites. I had to push some fans out of my way to take this very screenshot.
Just Another Dude
Straw Effigy designer:Allen Taubler
Shield: Gold Crude Shield Req 8 Str
Armor: Max (16)
Non Inscribable
-5 Physicsal 20%
Shield: Gold Crude Shield Req 8 Str
Armor: Max (16)
Non Inscribable
-5 Physicsal 20%
Mah Sexy Pre-necro: Suicidal Romance X
Shield is:
Crude Shield
Not inscribable
req9 strength
Zodiac Sign is Taurus
Funny Moment: Me challenging Shiro to come out of his trance and fight me....
Crude Shield
Not inscribable
req9 strength
Zodiac Sign is Taurus
Funny Moment: Me challenging Shiro to come out of his trance and fight me....
Rain Knight
yo everyone i've added a FAQ section.please read =)
also my bad but also include the req? str/tac for the shield
i see shome vhery vhery nice phics..qhuite impressed...and some very good answers as well =P
also my bad but also include the req? str/tac for the shield
i see shome vhery vhery nice phics..qhuite impressed...and some very good answers as well =P
Just Another Dude
Attractive Monk:
Was on my way to take a SS from the ruins of the giant fallen statue when I was ambushed by a worm. After I killed the worm, I thought, hey, what a nice photo op! Lets do it! So here I am!
These are both my monk, Apollo Atreus.
Love/Hate Hex: (My Warrior, Aequitas Balant)
Well, in a nice little 1v1 guildie scrimmage, I opposed my friend's mesmer. As seen, all didn't go perfectly and within a few seconds of our agreed start, I was stacked with hexes. You know what? I HATE HEXES.
I didnt ask him if I could show his name yet, so I cut it out, if its okay to update/replace entries, maybe later I can replace it. Thanks!
Attractive Monk:
Was on my way to take a SS from the ruins of the giant fallen statue when I was ambushed by a worm. After I killed the worm, I thought, hey, what a nice photo op! Lets do it! So here I am!
These are both my monk, Apollo Atreus.
Love/Hate Hex: (My Warrior, Aequitas Balant)
Well, in a nice little 1v1 guildie scrimmage, I opposed my friend's mesmer. As seen, all didn't go perfectly and within a few seconds of our agreed start, I was stacked with hexes. You know what? I HATE HEXES.
I didnt ask him if I could show his name yet, so I cut it out, if its okay to update/replace entries, maybe later I can replace it. Thanks!
Edit: Sorry about this post, I'm going to post the pictures on my previous post with my other picture.
(Is there anyway I can delete this?)
(Is there anyway I can delete this?)
Best couple pic ever! Trust me ^^